**Assignment:**
Retype only the lines below with the word "E_HOMO" in them, please.

**File:**
********
1.
Here is a 3-piece molecular cluster, C33H24N2O4PS overall from OMol25. Energies are from wB97M-V/def2-TZVPD.

Structure (XYZ):
```
65
Properties=species:S:1:pos:R:3:nbo_charge:R:1
N 0.06868 2.10129 -5.59417 -1.1683
P -1.35742 2.25700 -6.28898 1.0939
S -2.93975 1.23854 -5.17355 0.3097
C -4.49220 2.10292 -5.65933 -0.2056
C -5.80121 1.45431 -6.10826 -0.2408
C -6.96838 2.32699 -6.48759 0.0492
N -7.13006 3.72913 -6.47889 -0.3218
C -5.91371 4.27646 -6.01692 0.0496
C -4.61259 3.62785 -5.62596 -0.2625
H 0.35943 3.06769 -5.35320 0.4048
H -1.41655 1.79112 -7.63816 0.0359
H -1.71783 3.65780 -6.28656 0.0368
H -2.97359 -0.07212 -5.63225 0.2434
H -5.88909 0.32339 -6.15647 0.2553
H -7.90117 1.76335 -6.84860 0.2386
H -5.93335 5.42104 -5.92911 0.2382
H -3.72745 4.26198 -5.30590 0.2455
C 4.10425 3.88427 2.96422 -0.1834
C 4.20536 4.93550 2.05577 -0.1886
C 3.77756 4.76608 0.74420 -0.1509
C 3.25752 3.53894 0.33319 -0.1523
C 3.17889 2.47850 1.23712 -0.0688
C 3.59296 2.65760 2.55711 -0.1885
C 2.67476 1.15587 0.80140 0.6047
O 2.60159 0.23002 1.58878 -0.5437
C 2.26838 0.97326 -0.61064 -0.1632
C 1.84568 -0.28201 -1.04968 -0.1501
C 1.44961 -0.45939 -2.37080 -0.2013
C 1.46543 0.61754 -3.25530 -0.2031
C 1.89135 1.86731 -2.82217 -0.1913
C 2.30270 2.04560 -1.50154 -0.0570
C 2.78791 3.37353 -1.06082 0.5246
O 2.80522 4.31459 -1.83636 -0.5334
H 4.42998 4.02040 3.99005 0.2243
H 4.61625 5.88855 2.37146 0.2246
H 3.85398 5.58996 0.04248 0.2398
H 3.52168 1.84102 3.26771 0.2379
H 1.82804 -1.12410 -0.36494 0.2493
H 1.12616 -1.43759 -2.71159 0.2167
H 1.15024 0.48090 -4.28261 0.2273
H 1.90665 2.70095 -3.51592 0.2249
C 2.71971 -1.44274 4.89482 -0.1783
C 2.14122 -1.46031 6.16187 -0.1929
C 1.10304 -2.34147 6.44140 -0.1654
C 0.63158 -3.20062 5.44946 -0.1356
C 1.19505 -3.16577 4.17316 -0.0624
C 2.24842 -2.29247 3.90141 -0.1810
C 0.67118 -4.03772 3.09651 0.5160
O 1.16476 -4.01076 1.98177 -0.5374
C -0.46788 -4.93681 3.39311 -0.0575
C -1.00983 -5.72238 2.37534 -0.1762
C -2.07045 -6.57912 2.64744 -0.1974
C -2.58780 -6.66163 3.93817 -0.1926
C -2.05457 -5.87679 4.95365 -0.1494
C -0.99956 -5.00549 4.68088 -0.1519
C -0.46245 -4.14792 5.76202 0.5425
O -0.91751 -4.21659 6.89016 -0.5205
H 3.53604 -0.76114 4.68005 0.2168
H 2.50168 -0.78765 6.93308 0.2193
H 0.65975 -2.35443 7.43157 0.2418
H 2.69976 -2.26966 2.91541 0.2470
H -0.60946 -5.66539 1.36853 0.2337
H -2.49358 -7.18534 1.85323 0.2178
H -3.41074 -7.33574 4.15142 0.2212
H -2.46466 -5.94172 5.95598 0.2418
```

LUMO energy: -4.9 eV
E_HOMO: -0.3968 hartree
2S+1: 1
Largest force on an atom: 6.3 eV/A
Net charge: +1
Kohn-Sham gap: 5.9 eV



2.
Here is C15H35OS5SbW as an isolated structure from OMol25. Energies are from wB97M-V/def2-TZVPD.

Structure (XYZ):
```
58
Properties=species:S:1:pos:R:3:nbo_charge:R:1
W -0.32704 -0.07576 -1.32724 0.4900
S -1.91999 -0.15901 -2.95505 -0.0287
S -1.26567 0.99452 -4.55248 0.0658
S -0.32119 2.58361 -3.69042 0.0976
S 0.75852 1.79071 -2.12874 0.0576
C 5.49735 0.95491 -0.79851 -0.6193
C 5.33336 -0.47568 -0.28573 -0.4185
C 3.97484 -0.74513 0.37381 -0.5571
S 2.67040 -0.70867 -0.86380 1.1776
O 1.32018 -0.45125 -0.04562 -0.9381
C 2.59239 -2.47619 -1.29958 -0.5577
C 2.74080 -2.72860 -2.79251 -0.4185
C 1.62411 -2.08937 -3.61187 -0.6269
H 6.45540 1.07165 -1.30252 0.2486
H 5.46972 1.66694 0.02926 0.2215
H 4.71980 1.23624 -1.51342 0.2010
H 6.08735 -0.68334 0.47472 0.2529
H 5.50918 -1.19951 -1.08993 0.2144
H 3.69869 0.04964 1.07271 0.2567
H 3.92422 -1.70874 0.87914 0.2485
H 1.61442 -2.78477 -0.92880 0.2396
H 3.35866 -2.98982 -0.72080 0.2603
H 2.73141 -3.80947 -2.93475 0.2499
H 3.71749 -2.38143 -3.13495 0.2293
H 0.64967 -2.49244 -3.32649 0.2056
H 1.74450 -2.29682 -4.67384 0.2641
H 1.61401 -0.99922 -3.51927 0.1961
C -4.04503 -0.87535 1.52529 -0.6302
C -3.07466 -0.53706 0.39477 -0.5171
C -2.31394 -1.78611 -0.10143 -0.4949
Sb -1.57040 0.95429 0.79672 1.3666
C -0.67408 0.49931 2.70733 -0.4421
C -0.42560 -1.00347 2.77850 -0.6400
C -1.55765 1.02287 3.83607 -0.6396
C -2.44297 2.90416 0.49488 -0.4472
********

**Here it is:**
E_HOMO: -0.3968 hartree